Entries:
+++
Diffraction record for Ti7Fe9O24. The powder diffraction line list is computed, not measured: it uses a structure optimized by DFT (PBE+U) and Cu Kα, 1.54184 Å.
No peak broadening, texture or thermal motion is included.

Crystal structure
Lattice parameters (Å, degrees): 7.570 7.613 8.947 67.02 67.02 85.69
Positions (direct):
1 Ti 0.000 0.000 0.000
2 Ti 0.061 0.060 0.292
3 Ti 0.249 0.749 0.502
4 Ti 0.312 0.810 0.798
5 Ti 0.503 0.499 0.000
6 Ti 0.566 0.565 0.292
7 Ti 0.748 0.251 0.507
8 Fe 0.062 0.564 0.294
9 Fe 0.247 0.247 0.505
10 Fe 0.310 0.313 0.795
11 Fe 0.502 0.001 0.001
12 Fe 0.564 0.062 0.295
13 Fe 0.752 0.746 0.503
14 Fe 0.807 0.308 0.795
15 Fe 0.811 0.809 0.793
16 Fe 0.997 0.499 0.999
17 O 0.009 0.818 0.905
18 O 0.061 0.240 0.399
19 O 0.078 0.231 0.745
20 O 0.081 0.216 0.064
21 O 0.232 0.601 0.729
22 O 0.248 0.579 0.037
23 O 0.256 0.556 0.410
24 O 0.306 0.993 0.892
25 O 0.312 0.981 0.255
26 O 0.327 0.978 0.560
27 O 0.470 0.343 0.241
28 O 0.491 0.321 0.538
29 O 0.501 0.317 0.907
30 O 0.551 0.745 0.391
31 O 0.561 0.736 0.754
32 O 0.580 0.716 0.066
33 O 0.729 0.090 0.734
34 O 0.747 0.076 0.044
35 O 0.763 0.067 0.407
36 O 0.797 0.499 0.896
37 O 0.815 0.483 0.255
38 O 0.825 0.469 0.555
39 O 0.981 0.848 0.231
40 O 0.999 0.822 0.542

Largest 8 diffraction maxima, in order of rising 2θ, 10 to 80 degrees two-theta:
Position (°2θ), I_rel
23.5, 30
32.2, 47
32.3, 91
34.7, 100
48.1, 36
52.4, 25
52.6, 25
62.3, 31

----------

Starting from a cell relaxed with GGA-PBE, the XRD peak list of KNbPO6 was calculated for Cu Kα (weighted mean of Kα1 and Kα2).
Intensities are scaled so that the largest is 100.

Crystal structure
```
data_KNbPO6
_chemical_formula_sum 'K1 Nb1 P1 O6'
_space_group_name_H-M_alt 'P 3 1 2'
_space_group_IT_number 149
_cell_length_a 5.0829
_cell_length_b 5.0829
_cell_length_c 5.9188
_cell_angle_alpha 90.00
_cell_angle_beta 90.00
_cell_angle_gamma 120.00
loop_
_space_group_symop_operation_xyz
'x,y,z'
'-y,x-y,z'
'-x+y,-x,z'
'-y,-x,-z'
'-x+y,y,-z'
'x,x-y,-z'
loop_
_atom_site_label
_atom_site_fract_x
_atom_site_fract_y
_atom_site_fract_z
K1 0.0000 0.0000 0.0000
Nb1 0.3333 0.6667 0.5000
+++

Wanted:
What is needed: duplicate every line further above that contains the word "KNbPO6".

Done:
Starting from a cell relaxed with GGA-PBE, the XRD peak list of KNbPO6 was calculated for Cu Kα (weighted mean of Kα1 and Kα2).